Francesca Gallori

Director of Biblioteca Ricciardiana

A Small Library: The Riccardiana Library in Florence and Its Collections

The Biblioteca Riccardiana may be the smallest of the four state libraries in Florence in terms of the number of its books but certainly not in terms of their quality and importance. Its collection of manuscripts and printed books has the merit and uniqueness of still being housed on the shelves made by the Riccardi, from whom the library takes its name, in the same position in which they were left by their former owners. The library is, therefore, to quote the famous words of one of its illustrious directors, Guido Biagi (1855–1925), ‘the only example of what was a patrician library in a sumptuous palace.’

The palace itself – once the home of the Medici who commissioned Michelozzo to design it in 1444 and bought by the Riccardi at the height of their economic power in 1659 – has the vocation of a treasure trove of books. Filarete, in his Treatise on Architecture, describes Piero dei Medici’s library, which has now disappeared, and how books brought him comfort even during his attacks of gout. The location has sometimes influenced the Riccardi’s collecting choices: for example, in a splendid Virgil (Ricc. 492), illuminated by Apollonio di Giovanni, the events of Aeneas and the fall of Troy are set against the backdrop of the construction phases of the palazzo itself. Moreover, the abacus book by Filippo Calandri (Ricc. 2669), displayed on occasion of this exhibition (doc. 67), is not a casual presence in the Riccardi collections. The richly illuminated book was commissioned by Lorenzo de’ Medici, a former inhabitant of the palazzo, for his son Giuliano, the future Duke of Nemours, and was purchased by Gabriello Riccardi, who in the manuscript catalogue of his library had it described simply as ‘Aritmetica – eleganter picturatus.’ Its decorative apparatus, sumptuous in some parts and unusual for its scenes of daily life in others, is attributed partly to the school of Boccardino the Elder and partly to Gherardo di Giovanni and Pedro Berruguete.

-- begin --
## LiC4OF9 (GGA-PBE)

Data for a relaxed LiC4OF9 crystal.

**Corrected total energy (MP2020 scheme)**: -5.934 eV per atom
**V**: 186.3 Å³/f.u.
**Space-group type**: P2_1/c (14)
**Formation energy**: -1.87 eV/atom

Lattice parameters (Å, degrees): 16.532 11.085 16.787 90.00 104.30 90.00
Atoms (fractional coordinates):
Li (0.164, 0.079, 0.078)
Li (0.164, 0.421, 0.578)
Li (0.230, 0.155, 0.240)
Li (0.230, 0.345, 0.740)
Li (0.285, 0.564, 0.686)
Li (0.285, 0.936, 0.186)
Li (0.330, 0.160, 0.128)
Li (0.330, 0.340, 0.628)
Li (0.670, 0.660, 0.372)
Li (0.670, 0.840, 0.872)
Li (0.715, 0.064, 0.814)
Li (0.715, 0.436, 0.314)
Li (0.770, 0.655, 0.260)
Li (0.770, 0.845, 0.760)
Li (0.836, 0.579, 0.422)
Li (0.836, 0.921, 0.922)
C (0.052, 0.624, 0.650)
C (0.052, 0.876, 0.150)
C (0.062, 0.058, 0.248)
C (0.062, 0.442, 0.748)
C (0.101, 0.150, 0.556)
C (0.101, 0.350, 0.056)
C (0.113, 0.546, 0.718)
C (0.113, 0.954, 0.218)
C (0.154, 0.630, 0.793)
C (0.154, 0.870, 0.293)
C (0.197, 0.155, 0.603)
C (0.197, 0.345, 0.103)
C (0.214, 0.065, 0.679)
C (0.214, 0.435, 0.179)
C (0.221, 0.509, 0.430)
C (0.221, 0.991, 0.930)
C (0.251, 0.114, 0.542)
C (0.251, 0.386, 0.042)
C (0.273, 0.693, 0.522)
C (0.273, 0.807, 0.022)
C (0.287, 0.553, 0.509)
C (0.287, 0.947, 0.009)
C (0.379, 0.531, 0.498)
C (0.379, 0.969, 0.998)
C (0.411, 0.194, 0.361)
C (0.411, 0.306, 0.861)
C (0.414, 0.086, 0.300)
C (0.414, 0.414, 0.800)
C (0.424, 0.537, 0.849)
C (0.424, 0.963, 0.349)
C (0.490, 0.104, 0.259)
C (0.490, 0.396, 0.759)
C (0.510, 0.604, 0.241)
C (0.510, 0.896, 0.741)
C (0.576, 0.037, 0.651)
C (0.576, 0.463, 0.151)
C (0.586, 0.586, 0.200)
C (0.586, 0.914, 0.700)
C (0.589, 0.694, 0.139)
C (0.589, 0.806, 0.639)
C (0.621, 0.031, 0.002)
C (0.621, 0.469, 0.502)
C (0.713, 0.053, 0.991)
C (0.713, 0.447, 0.491)
C (0.727, 0.193, 0.978)
C (0.727, 0.307, 0.478)
C (0.749, 0.614, 0.958)
C (0.749, 0.886, 0.458)
C (0.779, 0.009, 0.070)
C (0.779, 0.491, 0.570)
C (0.786, 0.565, 0.821)
C (0.786, 0.935, 0.321)
C (0.803, 0.655, 0.897)
C (0.803, 0.845, 0.397)
C (0.846, 0.130, 0.707)
C (0.846, 0.370, 0.207)
C (0.887, 0.046, 0.782)
C (0.887, 0.454, 0.282)
C (0.899, 0.650, 0.944)
C (0.899, 0.850, 0.444)
C (0.938, 0.558, 0.252)
C (0.938, 0.942, 0.752)
C (0.948, 0.124, 0.850)
C (0.948, 0.376, 0.350)
O (0.173, 0.004, 0.187)
O (0.173, 0.496, 0.687)
O (0.219, 0.231, 0.130)
O (0.219, 0.269, 0.630)
O (0.276, 0.010, 0.075)
O (0.276, 0.490, 0.575)
O (0.341, 0.085, 0.240)
O (0.341, 0.415, 0.740)
O (0.659, 0.585, 0.260)
O (0.659, 0.915, 0.760)
O (0.724, 0.510, 0.425)
O (0.724, 0.990, 0.925)
O (0.781, 0.731, 0.370)
O (0.781, 0.769, 0.870)
O (0.827, 0.504, 0.313)
O (0.827, 0.996, 0.813)
F (0.011, 0.114, 0.183)
F (0.011, 0.386, 0.683)
F (0.017, 0.025, 0.301)
F (0.017, 0.475, 0.801)
F (0.023, 0.149, 0.834)
F (0.023, 0.351, 0.334)
F (0.036, 0.562, 0.576)
F (0.036, 0.938, 0.076)
F (0.051, 0.150, 0.609)
F (0.051, 0.350, 0.109)
F (0.080, 0.056, 0.504)
F (0.080, 0.444, 0.004)
F (0.082, 0.246, 0.010)
F (0.082, 0.254, 0.510)
F (0.087, 0.730, 0.636)
-- stop --

The collections of the Biblioteca Riccardiana are the result of an intense bibliophilia on the part of all the members of the Riccardi family, starting with the fifteenth-century tailor Anichino, founder of the family, with his 15 books, then sixteenth-century Riccardo Romolo and his library in the palazzo in Via Valfonda, which contained 500 books, and finally Gabriello, whose personal library, as we shall see, exceeded the family’s in the eighteenth century.

The first substantial increase in the family library was due to Vincenzo Capponi (1605–88) and his books. Capponi was an important figure in the intellectual life of seventeenth-century Florence: an Academician of the Crusca, he was a writer and poet, and naturally also a senator. Marquis Francesco (1648–1719) married his daughter Cassandra in 1669, who inherited more than 5,000 of her father’s books in 1688. Vincenzo Capponi’s library was vast in terms of its sheer size and also included a great variety of prestigious titles in many different disciplines. Antonio Magliabechi (1633–1714), the eponymous hero of today’s Biblioteca Nazionale Centrale in Florence, judged that Capponi’s books were ‘more for pomp than for study.’ The 1706 inventory of the Riccardiana library, compiled by priest Filippo Modesto Landi (now at the Florence State Archive, Riccardi, 271), listed 6,477 books, as well as 142 manuscripts. The incorporation of Capponi’s books – not yet recorded in Landi’s inventory – doubled the size of the Riccardiana collections. It was at this time that Francesco Riccardi had the idea of organising a library that, although still private, would be open to the public. By drafting Alcune regole per fondare una libreria pubblica (Ricc. 2112), Francesco Riccardi established the sums needed to buy books, pay the librarians and custodians, and set up suitable desks and shelves.

The incunabulum displayed here (St.10245, doc. 51) with Luca Pacioli’s Somma di arithmetica, geometria, proporzioni e proporzionalità in its 1494 edition in fact comes from Vincenzo Capponi’s library. It is profusely annotated by a sixteenth-century hand, which would be interesting to identify. Pacioli is also present in the Riccardi collections with two copies of his De divina proportione in the Venetian edition of 1509. One of these two copies (Ed. rare 120) belonged to Bartolomeo Ammannati (1511–92), who bound it with his manuscript notebook of sketches and drawings.

Gabriello Riccardi (1705–98), whose paternal grandfather was Marquis Francesco, continued to acquire books on his own, while at the same time ensuring that the family library did not fall into the hands of creditors, who in the course of the eighteenth century began to make increasing demands on the Riccardi estate. It was thanks to him that the family library, housed in what is now the reading room, was combined with his own – very large, even larger in number – library, and with that of other family members. The result of this union led him to enlarge the spaces allocated to the book collections, setting up shelving in the apartment that had belonged to his mother Giulia Spada, now the Sala Esposizioni, and in the room – the current director’s office – obtained from the purchase of the palazzo adjacent to the original Palazzo Medici Riccardi.

One of the books on display, the Tavole delle Tariffe mercantili del Levante (Ricc. 2523, doc. 19) was purchased by Gabriello Riccardi, who had it recorded in the Bullettone, the catalogue of his personal library, as a Tariffa riguardante le mercanzie di Soria per Venezia. The date on f. 1r is 1534, but the tariff updates on f. 64v and 66r are dated 1551, which is probably the date of the manuscript. We do not know how the Trattatello di Geografìa e Statistica (Ricc. 2386, doc. 20) and the edition of Della mercatura et del mercante perfetto by Cotrugli (St. 16852, doc. 69) came to the library, but it is probable that they were both acquired by Gabriello to slot into the small but significant section with manuscript and printed books on mercantile matters. Among the manuscripts, in particular, we find the trade books of the Peruzzi company (Ricc. 2414–2417), whose bankruptcy dates back to 1343; the Libro delle gabelle (Ricc. 2526), dating from the mid-fourteenth century and decorated with vignettes dedicated to different trades; and La pratica della mercatura by Francesco Balducci Pegolotti (Ricc. 2441), copied by Filippo Frescobaldi in 1471. After all, and in spite of the noble title of marquis bought in 1629, the Riccardi owed their financial fortune to trade and financial investments, and it was precisely their abandonment of these activities, once they had achieved social prestige, that led to their ruin at the end of the eighteenth century.

The documents that survived the family’s fall, most of which are kept in the State Archives in Florence – except for a small section still in the library – make it possible to trace the remote origins of the manuscripts and printed books purchased by Gabriello. Indeed, old lists of books and purchase receipts have survived, which have challenged a number of scholars, but most of all Guglielmo Bartoletti, who devoted a number of writings to the subject, later included in his monographic study on Gabriello Riccardi’s library. Among the most significant provenances are those of Giovan Battista Doni (1594–1647), with 530 manuscripts identified out of the 939 listed in his inventory, and those of illustrious Florentine families such as the Macinghi, Davanzati, Quaratesi and Strozzi. In 1735 Gabriello acquired the library of Anton Maria Salvini (1653–1729), which contained 3,349 both manuscript and printed books; in 1742 it was the turn of the autographs of Giovan Battista Fagiuoli (1660–1742), Florentine author, satirical poet and playwright. In 1748, the Romanesque liturgical codices from the monastery of Santa Marta in Montughi arrived in his library, few in number but of extraordinary importance. In order to understand the nature of this extraordinary collection, one must consider that the Riccardi salvaged as many books as possible from the wrecks of the Florentine families that had fallen before them. They, in turn, had inherited not just books penned by important figures such as Giovanni Boccaccio, Marsilio Ficino, Cristoforo Landino, Poggio Bracciolini and many other giants of Florentine humanism, but also copies that had belonged to some of these same names.

The strength of the Riccardi library collections lies on the more than 4,000 manuscripts, the oldest of which, Pliny Ricc. 488, dates back to the tenth century. Contrary to what usually happens in other libraries, where it is possible to follow the successive acquisitions through the fonds that have been gradually created, in the Biblioteca Riccardiana there is a single fond and the manuscripts, like the printed books, are arranged in a single numerical series. The choice of this arrangement reflects the moment when the library was put up for auction in 1810, following the family’s complete financial ruin. The books were arranged in increasing numerical order and by thematic areas (Greeks, Arabs, Latin classics, Dante and so on). Sporadic traces of the previous arrangements are preserved in old shelf markings, but it is mainly thanks to individual studies on provenance that it has been possible to reconstruct traces of the acquisitions made over time, especially by Gabriello, as mentioned earlier.

The manuscripts are mostly in the vernacular and Latin, but there are also 120 Greek manuscripts and 56 manuscripts in Arabic script (Arabic, Turkish and Persian). Standing out among the vernacular manuscripts is the set of Dante’s manuscripts – counting over 40 – including Ricc. 1005 (Rb in Petrocchi’s edition of the Commedia), otherwise known as the Riccardiano-Braidense, and the Commedia copied by Giovanni Boccaccio (Ricc. 1035). The groups of Greek and Arabic manuscripts are both mainly acquisitions by Gabriello, who reconciled his collecting with his own study needs, at least for the Greek codices: he had in fact begun studying Greek in 1730. Lorenzo Mehus (1717–1802), his procurer of books and perhaps also his librarian, regularly recorded his acquisitions in his Spogli. One of the most famous Greek manuscripts is Ricc. 46, which is one of the two oldest copies of Aristotle’s Poetics. Standing out among the Arabic manuscripts, all of which deal with literary or religious subjects, is the oldest known Latin-Arabic dictionary, Richard 217. The first catalogue describing them is preserved in cc. 157–169 of Ricc. 3822; it was prepared by some Coptic priests who had been hired by house librarian Giovanni Lami, and described 30 of them, all owned by Gabriello. In 1741 another catalogue was compiled by Stefano Evodio Assemani (1711–82), Maronite archbishop of Apamea, although it was never published (now Ricc. 3580). A fresh catalogue of Arabic manuscripts (excluding the Turkish and Persian codices) was recently compiled by Sara Fani in collaboration with the University of Florence.

The Riccardi were also collectors of beautiful art objects and were certainly fascinated by miniatures. Unlike contemporary collectors, however, they preferred to acquire books in their entirety rather than individual miniatures. And alongside a set of books of hours we see various illuminated manuscripts, with a clear preference for fifteenth-century illuminators, such as Mariano del Buono and Apollonio di Giovanni, Francesco di Antonio del Chierico and Cola Rapicano, without forgetting masterpieces such as Frederick II’s psalter (Ricc. 323) or the Parisian psalter (Ricc. 309), both from the end of the thirteenth century.

The golden age of the Riccardi family’s bibliomania ended with the death of Gabriello in 1794 and the subsequent auction of the entire library in 1810. An Inventario e stima della Libreria Riccardi. Manoscritti e edizioni del sec.15 was drawn up for the occasion, which gives us a general snapshot of the state and contents of the library at that date: 3,590 manuscripts, 617 incunabula and 18,257 printed books. The skilful management of librarian Francesco Fontani, who ensured that the library was not dismembered and dispersed, and the movement of opinion that arose in the city against this eventuality, led a group of Florentine booksellers to purchase the library wholesale and then sell it to the City of Florence, which was then under French rule. With the Restoration, the library passed to the state and was opened to the public. Since then, it has continued to gradually increase its collections, which have maintained their ability to tell ever-changing stories.